Source:
-- begin --
[1]
This entry pairs a crystal structure of ThNi2Ge2 with its simulated powder diffractogram. Radiation: Cu Kα (weighted mean of Kα1 and Kα2). Structure: a crystal structure in the Materials Project, relaxed with PBE.
Lines closer than 0.1° are merged.

Peak list (8 most intense, 2θ from 10° to 90°, low angle first)
| two_theta | intensity |
| --- | --- |
| 23.15 | 34 |
| 30.23 | 37 |
| 35.00 | 100 |
| 35.53 | 95 |
| 43.28 | 60 |
| 51.79 | 26 |
| 56.83 | 51 |
| 69.73 | 22 |

Structure:
```
data_ThNi2Ge2
_chemical_formula_sum 'Th2 Ni4 Ge4'
_space_group_name_H-M_alt 'I 4/m m m'
_space_group_IT_number 139
_space_group_name_Hall '-I 4 2'
_cell_length_a 4.181
_cell_length_b 4.181
_cell_length_c 9.736
_cell_angle_alpha 90.00
_cell_angle_beta 90.00
_cell_angle_gamma 90.00
loop_
_atom_site_label
_atom_site_type_symbol
_atom_site_fract_x
_atom_site_fract_y
_atom_site_fract_z
Th1 Th 0.000 0.000 0.000
Ni1 Ni 0.000 0.500 0.250
Ge1 Ge 0.000 0.000 0.368
```

=====

[2]
This entry pairs a crystal structure of Nd2TlIn with its simulated powder diffractogram. Radiation: Cu Kα (weighted mean of Kα1 and Kα2). Structure: a crystal structure in the Materials Project, relaxed with PBE.
Lines closer than 0.1° are merged.

Peak list (8 most intense, 2θ from 10° to 90°, low angle first)
| two_theta | intensity |
| --- | --- |
| 19.71 | 4 |
| 32.47 | 100 |
| 38.27 | 2 |
| 46.58 | 18 |
| 57.92 | 38 |
| 67.99 | 12 |
| 77.38 | 16 |
| 86.44 | 4 |

Structure:
```
data_Nd2TlIn
_chemical_formula_sum 'Nd8 Tl4 In4'
_space_group_name_H-M_alt 'F m -3 m'
_space_group_IT_number 225
_space_group_name_Hall '-F 4 2 3'
_cell_length_a 7.800
_cell_length_b 7.800
_cell_length_c 7.800
_cell_angle_alpha 90.00
_cell_angle_beta 90.00
_cell_angle_gamma 90.00
loop_
_atom_site_label
_atom_site_type_symbol
_atom_site_fract_x
_atom_site_fract_y
_atom_site_fract_z
Nd1 Nd 0.250 0.250 0.250
Tl1 Tl 0.000 0.000 0.000
In1 In 0.000 0.000 0.500
```

=====

[3]
This entry pairs a crystal structure of ReSbOF9 with its simulated powder diffractogram. Radiation: Cu Kα (weighted mean of Kα1 and Kα2). Structure: a crystal structure in the Materials Project, relaxed with PBE.
Lines closer than 0.1° are merged.

Peak list (8 most intense, 2θ from 10° to 90°, low angle first)
| two_theta | intensity |
| --- | --- |
| 18.06 | 34 |
| 19.08 | 75 |
| 19.91 | 55 |
| 21.92 | 100 |
| 22.49 | 29 |
| 23.04 | 43 |
| 49.22 | 22 |
| 50.88 | 27 |

Structure:
```
data_ReSbOF9
_chemical_formula_sum 'Re4 Sb4 O4 F36'
_space_group_name_H-M_alt 'P 1 21/c 1'
_space_group_IT_number 14
_cell_length_a 5.785
_cell_length_b 10.480
_cell_length_c 12.978
_cell_angle_alpha 90.00
_cell_angle_beta 99.29
_cell_angle_gamma 90.00
loop_
_space_group_symop_operation_xyz
'x,y,z'
'-x,-y,-z'
'-x,y+1/2,-z+1/2'
'x,-y+1/2,z+1/2'
loop_
_atom_site_label
_atom_site_type_symbol
_atom_site_fract_x
_atom_site_fract_y
_atom_site_fract_z
Re1 Re 0.176 0.024 0.297
Sb1 Sb 0.483 0.745 0.502
O1 O 0.018 0.152 0.253
F1 F 0.033 0.071 0.637
F2 F 0.117 0.587 0.683
F3 F 0.240 0.670 0.055
F4 F 0.250 0.194 0.054
F5 F 0.296 0.607 0.445
F6 F 0.307 0.096 0.441
F7 F 0.403 0.173 0.866
F8 F 0.406 0.646 0.877
F9 F 0.475 0.054 0.263
```

=====

[4]
This entry pairs a crystal structure of KNb3F9 with its simulated powder diffractogram. Radiation: Cu Kα (weighted mean of Kα1 and Kα2). Structure: a crystal structure in the Materials Project, relaxed with PBE.
Lines closer than 0.1° are merged.

Peak list (8 most intense, 2θ from 10° to 90°, low angle first)
| two_theta | intensity |
| --- | --- |
| 12.86 | 26 |
| 21.22 | 46 |
| 25.89 | 100 |
| 31.02 | 25 |
| 45.65 | 39 |
| 50.86 | 22 |
| 51.06 | 30 |
| 64.67 | 23 |

Structure:
```
data_KNb3F9
_chemical_formula_sum 'K4 Nb12 F36'
_space_group_name_H-M_alt 'C 2 2 21'
_space_group_IT_number 20
_cell_length_a 7.943
_cell_length_b 13.777
_cell_length_c 8.376
_cell_angle_alpha 90.00
_cell_angle_beta 90.00
_cell_angle_gamma 90.00
loop_
_space_group_symop_operation_xyz
'x,y,z'
'-x,-y,z+1/2'
'x,-y,-z'
'-x,y,-z+1/2'
-- stop --

Wanted:
Now restate only the lines further above with the word "Nd8" in them.

Written answer:
_chemical_formula_sum 'Nd8 Tl4 In4'